Legislative leaders and Gov. Jared Polis have rightly identified increasing competition and improving affordability as core priorities for the proposed public option health insurance program.

Whether or not it will achieve these goals could hinge on an important question that has been drowned out in this largely ideological debate: should all health plans in the market be required to participate, as Gov. Polis has proposed, or should there be a competitive bidding process by which a single plan is selected as the public option for each region of the state?

Billy Wynne

While it may seem trivial, this distinction is vital due to the esoteric manner in which premium subsidies for middle class families under the Affordable Care Act are calculated.

Here the piece breaks off for calculated crystals
********
This record from Alexandria describes a relaxed Cr3TcAs crystal. The functional is PBE.

Computed properties:
- energy of formation from the pure elements (eV/atom) = 1.2893
- symmetry = No. 221
- uncorrected energy (eV/atom) = -7.488

Lattice parameters (Å, degrees): 4.282 4.282 4.282 90.00 90.00 90.00
Sites, in units of the cell vectors:
Cr 0.000 0.000 0.500
Cr 0.000 0.500 0.000
Cr 0.500 0.000 0.000
Tc 0.500 0.500 0.500
As 0.000 0.000 0.000


VASP calculation (PBEsol) on a relaxed Sb2PbBr crystal.

## Properties
formation energy from raw total energies: -0.111 eV/atom
M_tot: 0.000 μB per formula unit
DFT total energy: -15.43 eV for the cell shown

abc: 4.157 6.178 4.819
angles: 90.00 95.48 90.00
Fractional coordinates of all 4 atoms:
Sb: 0.225 0.000 0.298
Sb: 0.775 0.000 0.702
Pb: 0.000 0.500 0.500
Br: 0.500 0.500 0.000


(1)
Below is crystalline RbAg4Sn at its relaxed geometry, with properties calculated at the PBE level.

a = 5.8247 Å, b = 5.8247 Å, c = 5.8247 Å
α = 60.00°, β = 60.00°, γ = 60.00°
Fractional positions:
Rb1 0.0000 0.0000 0.0000
Ag1 0.3760 0.3760 0.3760
Ag2 0.3760 0.3760 0.8719
Ag3 0.3760 0.8719 0.3760
Ag4 0.8719 0.3760 0.3760
Sn1 0.7500 0.7500 0.7500

For the total energy, the calculation gives -2.629 eV/atom. As for the crystal system: cubic. The formation energy comes out at 0.100 eV/atom. The calculation puts the magnetization at 0.000 μB per formula unit. The symmetry is F-43m (216).



(2)
Below is crystalline RbAgSn3 at its relaxed geometry, with properties calculated at the PBE level.

a = 5.5496 Å, b = 5.5496 Å, c = 5.5496 Å
α = 90.00°, β = 90.00°, γ = 90.00°
Fractional positions:
Rb1 0.0000 0.0000 0.0000
Ag1 0.5000 0.5000 0.5000
Sn1 0.0000 0.5000 0.5000
Sn2 0.5000 0.0000 0.5000
Sn3 0.5000 0.5000 0.0000

The energy above the most stable polymorph in this dataset comes out at 383 meV per atom. For the total energy, the calculation gives -2.947 eV/atom. As for the crystal system: cubic. The formation energy comes out at 0.219 eV/atom. The calculation puts the magnetization at 0.000 μB per formula unit. The symmetry is Pm-3m (221).



(3)
Below is crystalline Rb3Ag2Sn4 at its relaxed geometry, with properties calculated at the PBE level.

a = 4.7649 Å, b = 7.4624 Å, c = 10.2904 Å
α = 108.59°, β = 90.06°, γ = 108.58°
Fractional positions:
Rb1 0.0000 0.0000 0.0000
Rb2 0.3704 0.7389 0.6183
Rb3 0.6296 0.2611 0.3817
Ag1 0.3418 0.6837 0.2159
Ag2 0.6582 0.3163 0.7841
Sn1 0.0840 0.1672 0.6429
Sn2 0.2782 0.5577 0.9162
Sn3 0.7218 0.4423 0.0838
Sn4 0.9160 0.8328 0.3571

For the total energy, the calculation gives -2.848 eV/atom. As for the crystal system: triclinic. The formation energy comes out at -0.113 eV/atom. The calculation puts the magnetization at 0.000 μB per formula unit. The symmetry is P-1 (2).


## LaTl2Au (PBE)

Data for a geometry-optimized LaTl2Au structure.

Cell: 4.0069 4.3457 6.9283 Å, 90.00 106.68 90.00°
With the nearest neighbours (Å) after each atom.
Space group Pm (No. 6)
********

In brief, because the amount of the subsidy is determined by the premium of the second-lowest cost “silver” plan, affordability for subsidized shoppers increases as the gap between the cost of that benchmark silver plan and other, cheaper options widens. 

Because of this, cost-cutting programs that are not carefully designed can have the perverse effect of shrinking that gap and increasing costs for subsidized consumers (which includes those with annual income of up to about $100,000 for a family of four). This population represents 76% of people who enrolled via Connect for Health Colorado in 2019. 

In a Health Affairs article last September, David Anderson of Duke University and I found that adopting an approach where a single public option plan is selected for each market in Colorado could reduce the premiums middle class families pay by as much as 73%.

By sharp contrast, spawning multiple public option plans could increase premium costs for these households by as much as 16%. 

Subsequent analysis by actuaries at Wakely Consulting drew a similar conclusion. They found that the single public option plan strategy could reduce premium costs by as much as 83% while the multiple public option plan strategy could increase those costs by up to 4% for the subsidized population.

READ: Colorado Sun opinion columnists.

This is precisely the dynamic that consumers were confronted with during the recent open enrollment period, when many realized that the newly adopted reinsurance program had caused their premium payments to go up. 

Supporters of the multiple public option plan approach respond that the state could use funding from a federal waiver to remedy the adverse impact on the subsidized population, but that strategy is contingent on: (1) President Trump losing his reelection bid (he has already expressed opposition to rate-setting waivers); (2) an untested public option waiver surviving an inevitable legal challenge from industry opponents; (3) federal officials agreeing with Colorado’s savings assumptions; and (4) state officials agreeing on targeting these savings to middle class subsidies.

In other words, it’s a highly risky strategy to accomplish the same outcome that could be achieved with the single public option plan approach, which does not require a waiver. 

The single plan approach will also drive competition among insurers that should enhance the value of the public option for all.

If insurers are required to compete for the unique status of being the public option, they will be under significant pressure to innovate their benefit design and other features to win this opportunity. Forcing all insurers to be public options does not create these competitive forces.

Some counter that other health plans will reduce their premiums to compete with the single public option, which would generate the same unintended affordability consequences for the middle class that would occur under a multiple public option approach.

But that argument assumes that hospitals that have been pressured to discount their prices for the public option plan would then turn around and do so voluntarily for other plans. That’s a dubious assumption, based on recent messaging from the industry.

To further protect against the devaluation of premium subsidies, the state could achieve hospital-related cost savings by implementing a “best-price” policy in lieu of setting hospital-specific rates.

(Here the entry breaks off for calculated crystals)
'''
VASP calculation (GGA-PBEsol) on a geometry-optimized CsBi2Au structure.

Results
E_form: 23.3 kJ/mol of atoms
ρ: 10.6 g cm⁻³
E_tot: -3.12 eV/atom

Geometry as POSCAR:
```
CsBi2Au
1.0
5.494 0.000 0.000
2.747 4.758 0.000
2.747 1.586 4.486
Au Bi Cs
1 2 1
direct
0.500 0.500 0.500
0.250 0.250 0.250
0.750 0.750 0.750
0.000 0.000 0.000
```

~~~~~

(1)
Computed, not measured: a relaxed Pu2PaFe crystal at the PBE level of DFT.

Unit cell a=3.4017 b=3.4017 c=8.7213 alpha=78.75 beta=78.75 gamma=60.00
Each line ends with the local moment (μB).
Sites, in units of the cell vectors:
Pu (0.7636, 0.7636, 0.7091)  4.96
Pu (0.2364, 0.2364, 0.2909)  4.96
Pa (0.0000, 0.0000, 0.0000)  0.01
Fe (0.5000, 0.5000, 0.5000)  -1.56

Values from the calculation:
The calculated volume is 21.3 Å³ per atom. The symmetry is R-3m (166). Its magnetic moment is 8.676 μB per formula unit. For the formation energy, the calculation gives 0.94 eV per formula unit.


(2)
Computed, not measured: a relaxed BeReP crystal at the PBE level of DFT.

Unit cell a=3.8934 b=3.8934 c=3.8934 alpha=60.00 beta=60.00 gamma=60.00
Sites, in units of the cell vectors:
Be (0.0000, 0.0000, 0.0000)
Re (0.7500, 0.7500, 0.7500)
P (0.5000, 0.5000, 0.5000)

Values from the calculation:
The calculated volume is 13.9 Å³ per atom. The symmetry is F-43m (216). Its magnetic moment is 0.000 μB per formula unit. For the formation energy, the calculation gives 0.85 eV per formula unit.


(3)
Computed, not measured: a relaxed Sr2InBr crystal at the PBE level of DFT.

Unit cell a=4.3225 b=4.3225 c=9.4857 alpha=76.83 beta=76.83 gamma=60.00
Sites, in units of the cell vectors:
Sr (0.2519, 0.2519, 0.2444)
Sr (0.0827, 0.0827, 0.7519)
Br (0.4983, 0.4983, 0.5051)
In (0.6671, 0.6671, 0.9986)

Values from the calculation:
The calculated volume is 37.0 Å³ per atom. The symmetry is R3m (160). Its magnetic moment is 0.000 μB per formula unit. The uncorrected formation energy comes out at -0.908 eV per atom.


(4)
Computed, not measured: a relaxed U2CSe2 crystal at the PBE level of DFT.

Unit cell a=3.9676 b=7.3396 c=7.6624 alpha=90.00 beta=105.00 gamma=90.00
Each line ends with the local moment (μB).
Sites, in units of the cell vectors:
U (0.1560, 0.5314, 0.3120)  1.60
U (0.8440, 0.0314, 0.6880)  1.60
U (0.4486, 0.4063, 0.8971)  2.22
U (0.5514, 0.9063, 0.1029)  2.22
Se (0.2087, 0.9019, 0.4174)  -0.05
Se (0.9481, 0.7112, 0.8961)  -0.06
Se (0.7913, 0.4019, 0.5826)  -0.05
Se (0.0519, 0.2112, 0.1039)  -0.06
C (0.5927, 0.5836, 0.1854)  -0.11
C (0.4073, 0.0836, 0.8146)  -0.11

Values from the calculation:
The calculated volume is 21.6 Å³ per atom. The symmetry is Cmc2_1 (36). Its magnetic moment is 3.978 μB per formula unit. The uncorrected formation energy comes out at -0.720 eV per atom.


(5)
Computed, not measured: a relaxed NbCuNi3 crystal at the PBE level of DFT.

Unit cell a=4.2224 b=4.2224 c=4.2224 alpha=90.00 beta=90.00 gamma=90.00
Each line ends with the local moment (μB).
Sites, in units of the cell vectors:
'''
(The calculated crystals stop here)

Under the best-price approach, hospitals could compete to provide the public option the steepest discount below their market rates.

The state could still be afforded authority to mandate best-price rates from hospitals if participation is inadequate to generate meaningful savings. 

Another critique of the single-plan approach is that it will not resolve Colorado’s problem of 22 counties having only one insurer.

The opportunity to enter a market as the single public option plan, however, increases the incentive insurers have to come into these noncompetitive areas.

Mandating that the sole insurer that is already there be a public option has the opposite effect; it creates a disincentive for a new plan to enter that market.

Regardless, under either the single or multiple public option plan approach, the state could be given authority to mandate a second plan participate in these counties if necessary, as the governor has requested. 

Finally, some object to the single public option plan strategy by suggesting it will drive existing insurers out of the market. Currently, however, the Colorado Association of Health Plans is strongly opposed to the public option in large part because all plans would be forced to participate.

Narrowing that market-wide mandate to just apply to select counties should be more conducive to maintaining or growing plan participation in the state. 

Evidence from across the country also shows that health insurance markets will bear the presence of a plan priced 8-10% below the competition; that is the case in about 25% of counties nationwide.

The actuarial analysis referenced above predicts a public option that offers such a discount will capture 26.8% of the individual market statewide. That’s a substantial but not destabilizing portion.

This may seem wonky and complex, and it is. In this case, however, good policy is also good politics.

Only if the public option proposal will deliver real savings to people who need it most, while driving new competitive forces in the market, will it pass this spring in the face of vigorous industry opposition and bring sustainable relief to Colorado families. 

Billy Wynne is the Chairman of the Wynne Health Group and Executive Director of the Public Option Institute. Previously, he was Health Policy Counsel to the U.S. Senate Finance Committee. He lives in Greenwood Village.

Special to The Colorado Sun